### To do
Quote only the lines below with the word "Al" in them, please.
### Source
____________
Entry from Alexandria: Sr2Mg12AlHg3 after structural relaxation (PBE).

Computed properties:
Total magnetization: 0.00 Bohr magnetons per cell
Symmetry: R-3m
Mass density: 3.6 g/cm³

Lattice parameters (Å, degrees): 11.2852 11.2852 11.2852 38.81 38.81 38.81
Last column: nearest neighbours and their distance in Å.
Fractional positions:
Sr: 0.6459 0.6459 0.6459  6 Mg 3.58-3.69
Sr: 0.3541 0.3541 0.3541  6 Mg 3.58-3.69
Mg: 0.4131 0.4131 0.8104  2 Hg 2.81, 4 Mg 2.98-3.01
Mg: 0.9217 0.9217 0.3619  1 Al 2.87, 2 Mg 3.01, 1 Hg 3.08
Mg: 0.3619 0.9217 0.9217  1 Al 2.87, 2 Mg 3.01, 1 Hg 3.08
Mg: 0.8104 0.4131 0.4131  2 Hg 2.81, 4 Mg 2.98-3.01
Mg: 0.9217 0.3619 0.9217  1 Al 2.87, 2 Mg 3.01, 1 Hg 3.08
Mg: 0.4131 0.8104 0.4131  2 Hg 2.81, 4 Mg 2.98-3.01
Mg: 0.5869 0.5869 0.1896  2 Hg 2.81, 4 Mg 2.98-3.01
Mg: 0.0783 0.0783 0.6381  1 Al 2.87, 2 Mg 3.01, 1 Hg 3.08
Mg: 0.6381 0.0783 0.0783  1 Al 2.87, 2 Mg 3.01, 1 Hg 3.08
Mg: 0.1896 0.5869 0.5869  2 Hg 2.81, 4 Mg 2.98-3.01
Mg: 0.0783 0.6381 0.0783  1 Al 2.87, 2 Mg 3.01, 1 Hg 3.08
Mg: 0.5869 0.1896 0.5869  2 Hg 2.81, 4 Mg 2.98-3.01
Al: 0.0000 0.0000 0.0000  6 Mg 2.87
Hg: 0.5000 0.0000 0.0000  6 Mg 2.81-3.08
Hg: 0.0000 0.5000 0.0000  6 Mg 2.81-3.08
Hg: 0.0000 0.0000 0.5000  6 Mg 2.81-3.08

Entry from Alexandria: TiBeZn3 after structural relaxation (PBE).

Computed properties:
Total magnetization: 2.06 Bohr magnetons per cell
Energy above the lowest structure with this stoichiometry: 1060 meV per atom
Symmetry: Pm-3m
Mass density: 3.4 g/cm³

Lattice parameters (Å, degrees): 4.9621 4.9621 4.9621 90.00 90.00 90.00
Last column: nearest neighbours and their distance in Å.
Fractional positions:
Be: 0.5000 0.5000 0.5000  12 Zn 3.51
Zn: 0.0000 0.5000 0.0000  2 Ti 2.48
Zn: 0.0000 0.0000 0.5000  2 Ti 2.48
Zn: 0.5000 0.0000 0.0000  2 Ti 2.48
Ti: 0.0000 0.0000 0.0000  6 Zn 2.48

Entry from Alexandria: YHoTl after structural relaxation (PBE).

Computed properties:
Total magnetization: 1.92 Bohr magnetons per cell
Energy above the lowest structure with this stoichiometry: 485 meV per atom
Symmetry: Cmmm
Mass density: 6.8 g/cm³

Lattice parameters (Å, degrees): 4.8984 6.7366 6.7366 90.61 90.00 90.00
Last column: nearest neighbours and their distance in Å.
Fractional positions:
Tl: 0.0000 0.0000 0.0000  2 Ho 2.96, 4 Y 3.05
Tl: 0.5000 0.5000 0.5000  2 Y 2.98, 4 Ho 3.03
Ho: 0.0000 0.6875 0.6875  3 Tl 2.96-3.03
Ho: 0.0000 0.3125 0.3125  3 Tl 2.96-3.03
Y: 0.5000 0.1889 0.8111  3 Tl 2.98-3.05
Y: 0.5000 0.8111 0.1889  3 Tl 2.98-3.05

Entry from Alexandria: Pr3Ge2Rh after structural relaxation (PBE).

Computed properties:
Total magnetization: 0.00 Bohr magnetons per cell
Symmetry: Pnma
Mass density: 7.2 g/cm³

Lattice parameters (Å, degrees): 4.3639 11.7006 12.1722 90.00 90.00 90.00
Last column: nearest neighbours and their distance in Å.
Fractional positions:
Pr: 0.2500 0.3715 0.0540  1 Rh 2.97, 4 Ge 3.10-3.13
Pr: 0.7500 0.6285 0.9460  1 Rh 2.97, 4 Ge 3.10-3.13
Pr: 0.7500 0.8715 0.4460  1 Rh 2.97, 4 Ge 3.10-3.13
Pr: 0.2500 0.1285 0.5540  1 Rh 2.97, 4 Ge 3.10-3.13
Pr: 0.2500 0.6987 0.2220  2 Rh 2.93, 4 Ge 3.18-3.21
Pr: 0.7500 0.3013 0.7780  2 Rh 2.93, 4 Ge 3.18-3.21
Pr: 0.7500 0.1987 0.2780  2 Rh 2.93, 4 Ge 3.18-3.21
Pr: 0.2500 0.8013 0.7220  2 Rh 2.93, 4 Ge 3.18-3.21
Pr: 0.2500 0.4456 0.3799  3 Rh 3.08-3.18, 5 Ge 3.10-3.23
Pr: 0.7500 0.5544 0.6201  3 Rh 3.08-3.18, 5 Ge 3.10-3.23
Pr: 0.7500 0.9456 0.1201  3 Rh 3.08-3.18, 5 Ge 3.10-3.23
Pr: 0.2500 0.0544 0.8799  3 Rh 3.08-3.18, 5 Ge 3.10-3.23
Ge: 0.2500 0.6876 0.4843  2 Rh 2.68
Ge: 0.7500 0.3124 0.5157  2 Rh 2.68
Ge: 0.7500 0.1876 0.0157  2 Rh 2.68
Ge: 0.2500 0.8124 0.9843  2 Rh 2.68
Ge: 0.2500 0.0000 0.3087  1 Rh 2.65
Ge: 0.7500 0.0000 0.6913  1 Rh 2.65
Ge: 0.7500 0.5000 0.1913  1 Rh 2.65
Ge: 0.2500 0.5000 0.8087  1 Rh 2.65
Rh: 0.2500 0.1309 0.1309  3 Ge 2.65-2.68, 3 Pr 2.93-2.97
Rh: 0.7500 0.8691 0.8691  3 Ge 2.65-2.68, 3 Pr 2.93-2.97
Rh: 0.7500 0.6309 0.3691  3 Ge 2.65-2.68, 3 Pr 2.93-2.97
Rh: 0.2500 0.3691 0.6309  3 Ge 2.65-2.68, 3 Pr 2.93-2.97
____________
### Here it is
Mg: 0.9217 0.9217 0.3619  1 Al 2.87, 2 Mg 3.01, 1 Hg 3.08
Mg: 0.3619 0.9217 0.9217  1 Al 2.87, 2 Mg 3.01, 1 Hg 3.08
Mg: 0.9217 0.3619 0.9217  1 Al 2.87, 2 Mg 3.01, 1 Hg 3.08
Mg: 0.0783 0.0783 0.6381  1 Al 2.87, 2 Mg 3.01, 1 Hg 3.08
Mg: 0.6381 0.0783 0.0783  1 Al 2.87, 2 Mg 3.01, 1 Hg 3.08
Mg: 0.0783 0.6381 0.0783  1 Al 2.87, 2 Mg 3.01, 1 Hg 3.08
Al: 0.0000 0.0000 0.0000  6 Mg 2.87